Saturday, May 08, 2010

### What comes next are crystal structures, not part of the article
- - -
Theoretical powder diffractogram of Tm2RuRh for copper Kα, from the PBE geometry in the Materials Project.
Peak positions follow from Bragg's law for the DFT cell and can differ from measured ones.

Largest 6 diffraction maxima, in order of falling intensity, 2θ = 10–80°:
h k l  Position (°2θ)  intensity
2 2 0  37.7  100
4 2 2  68.1  35
4 0 0  54.4  17
2 0 0  26.4  7
4 2 0  61.5  3
2 2 2  46.7  2

Structure:
a = 6.742 Å, b = 6.742 Å, c = 6.742 Å
α = 90.00°, β = 90.00°, γ = 90.00°
Space group Fm-3m (No. 225)
Inequivalent atoms, fractional coordinates:
Tm 0.250 0.250 0.250 [8 per cell]
Ru 0.000 0.000 0.000 [4 per cell]
Rh 0.000 0.000 0.500 [4 per cell]


Theoretical powder diffractogram of Hg2Br2N for copper Kα, from the PBE geometry in the Materials Project.
Peak positions follow from Bragg's law for the DFT cell and can differ from measured ones.

Largest 8 diffraction maxima, in order of falling intensity, 2θ = 10–80°:
h k l  Position (°2θ)  intensity
0 0 2  28.6  100
2 0 2  40.9  59
1 0 1  20.1  29
0 0 4  59.2  27
2 0 4  67.0  24
2 0 1  32.1  17
2 2 1  52.9  17
3 0 1  46.0  14

Structure:
a = 7.2082 Å, b = 7.2082 Å, c = 6.2478 Å
α = 90.00°, β = 90.00°, γ = 120.00°
Space group P-62m (No. 189)
Inequivalent atoms, fractional coordinates:
Hg 0.0000 0.0000 0.0000 [1 per cell]
Hg 0.0000 0.4978 0.5000 [3 per cell]
Br 0.0000 0.0000 0.5000 [1 per cell]
Br 0.0000 0.3654 0.0000 [3 per cell]
N 0.3333 0.6667 0.5000 [2 per cell]


Theoretical powder diffractogram of MgSi2 for copper Kα, from the PBE geometry in the Materials Project.
Peak positions follow from Bragg's law for the DFT cell and can differ from measured ones.

Largest 8 diffraction maxima, in order of falling intensity, 2θ = 10–80°:
h k l  Position (°2θ)  intensity
0 0 4  38.2  100
1 2 -2  36.9  76
1 2 2  38.4  61
3 0 1  39.3  48
3 0 -3  44.4  38
2 2 0  38.9  32
2 2 -1  39.4  19
4 3 -2  71.1  18

Structure:
a = 7.348 Å, b = 5.993 Å, c = 9.475 Å
α = 90.00°, β = 96.55°, γ = 90.00°
Space group P2_1/m (No. 11)
Inequivalent atoms, fractional coordinates:
Mg 0.135 0.250 0.143 [2 per cell]
Mg 0.218 0.750 0.110 [2 per cell]
Mg 0.255 0.750 0.622 [2 per cell]
Mg 0.331 0.250 0.647 [2 per cell]
Si 0.046 0.547 0.373 [4 per cell]
Si 0.159 0.047 0.867 [4 per cell]
Si 0.375 0.045 0.383 [4 per cell]
Si 0.487 0.549 0.869 [4 per cell]


Theoretical powder diffractogram of NiSb2 for copper Kα, from the PBE geometry in the Materials Project.
Peak positions follow from Bragg's law for the DFT cell and can differ from measured ones.

Largest 8 diffraction maxima, in order of falling intensity, 2θ = 10–80°:
h k l  Position (°2θ)  intensity
1 1 1  32.2  100
1 2 0  32.9  77
2 1 1  43.8  54
0 3 1  49.5  34
1 0 1  28.8  28
1 2 2  59.3  28
0 0 2  47.8  23
0 1 1  27.4  18

Structure:
a = 5.351 Å, b = 6.314 Å, c = 3.803 Å
α = 90.00°, β = 90.00°, γ = 90.00°
Space group Pnnm (No. 58)
Inequivalent atoms, fractional coordinates:
Ni 0.000 0.000 0.000 [2 per cell]
Sb 0.216 0.360 0.000 [4 per cell]

=====

No. 1
- - -
### End of the crystal structures

Fri. City Council meeting shortchanges 200 because of Herb Wesson

That was some meeting Friday- There's a rent control ordinance, RSO, the Rent Stabilization Ordinance that applies to rentals up to 1978 contruction that allows limited rent increases each year.

This year Richard Alarcon wants a one year moratorium because of the economy- and there's the beggining of a problem. So 200 people put in cards to talk at Friday's meeting, 100 for and 100 against a motion that's been changed to have a study on the impact and to exempt owners of 5 or less units from the restrictions on raises that the RSO would allow.

But Wesson has his grand kid maybe 2 years old there, and I wondered what's the deal as I popped the meeting up on the computer then. He says he wants this to be approved to go to the study and have all the debate put off for that return of the study. He says "I just came to vote and I want to go see my new granddaughter." He said she was born in the last couple of hours.

OK, Herb, but to accommodate you, you have 200 people being shut down on their moment to vent for probably the 1 minute now, as the 2-minute period gets cut to 1 when there's so many to speak.

Maybe some of them should have been allowed to speak on THAT question, of putting off the coment period for another day for them, another day to skip work or whatever they might do, another day to find parking and to pay the not-so-cheap-rates that Council Members have absolutely no appreciation for since they park their selected CITY paid cars in the City Hall parking lot for free.

Well, to make it short this time, the Council voted as Wesson wanted, to put the real matter off and deflect public comment today. Talk about the self-serving nature of the beast. CMs really don't care about the effort that the members of the public make to get to City Hall for a meager 2 minutes maximum time to speak on an agenda item. And you know, it's only a one-way speaking experience- no one answers you or has to answer you- sometimes they really aren't even paying attention to you or are not present in the Council Chambers. "Council members are able to view the proceedings in their offices, so they ARE aware of what you are saying," is the usual line Council President Eric Garcetti uses to quell complaints made by public commenters about absent seats or CMs talking, apparently oblivious to the words being spoken by the person at the podium.

So much arrogance and then they wonder why anyone should even challenge their decisions. Well, for one big reason that might just bypass the idea of what they THINK- it's often that they don't even READ THE TEXT OR BACKGROUND of any motion- and some carries much baggage if you click the agendas to see the history.

In spite of that explicit personal non-reading of the motions, they are not inhibited one iota to keep from making their opinions heard on any of it. They rely on committee reports, the assurances of other CMs who TELL them what it means, often the authors of motions, and so you have no real knowledge of what's being voted on, so why even listen to the public? You see, it's too much to expect of them and maybe at the best, they have an aide TELL THEM what THE AIDE'S interpretation is, so you have them acting on a 2nd hand level.

It's just another day at the Council Chambers and maybe it's not on the up and up, but you might expect some courtesy and consideration for the public who is, after all, not getting a paycheck for coming to city hall that day.

**Between two parts of the page: crystal structures:**
┌──
For Nd3Re2O9, a DFT-relaxed cell (GGA-PBE, the Materials Project) gives the calculated powder diffraction line list in this record (CuKα).
Kinematic intensities with the Lorentz-polarization factor, no thermal factor.

The 10 most intense peaks (2θ = 10–90°), in order of rising 2θ:
17.8°, I 19
26.2°, I 38
26.5°, I 100
28.0°, I 57
30.7°, I 31
31.2°, I 21
31.8°, I 48
44.1°, I 15
46.0°, I 16
53.8°, I 16

Cell and atoms:
Lattice parameters (Å, degrees): 5.6382 6.8480 11.1028 77.01 75.55 69.11
Fractional positions:
Nd: 0.0026 0.2244 0.2705
Nd: 0.2215 0.1634 0.8821
Nd: 0.2842 0.5945 0.3795
Nd: 0.7158 0.4055 0.6205
Nd: 0.7785 0.8366 0.1179
Nd: 0.9974 0.7756 0.7295
Re: 0.3558 0.1229 0.5713
Re: 0.4899 0.6136 0.9079
Re: 0.5101 0.3864 0.0921
Re: 0.6442 0.8771 0.4287
O: 0.0600 0.1143 0.7126
O: 0.1079 0.2534 0.4607
O: 0.1423 0.8135 0.9368
O: 0.1738 0.5110 0.1911
O: 0.3047 0.4188 0.5897
O: 0.3585 0.4768 0.8150
O: 0.3719 0.8177 0.5790
O: 0.3824 0.1712 0.0710
O: 0.4129 0.9426 0.3110
O: 0.5871 0.0574 0.6890
O: 0.6176 0.8288 0.9290
O: 0.6281 0.1823 0.4210
O: 0.6415 0.5232 0.1850
O: 0.6953 0.5812 0.4103
O: 0.8262 0.4890 0.8089
O: 0.8577 0.1865 0.0632
O: 0.8921 0.7466 0.5393
O: 0.9400 0.8857 0.2874


For TiS2, a DFT-relaxed cell (GGA-PBE, the Materials Project) gives the calculated powder diffraction line list in this record (CuKα).
Kinematic intensities with the Lorentz-polarization factor, no thermal factor.

The 10 most intense peaks (2θ = 10–90°), in order of rising 2θ:
13.2°, I 100
33.0°, I 65
37.7°, I 13
40.6°, I 35
47.3°, I 15
51.1°, I 9
53.6°, I 22
55.4°, I 11
59.2°, I 9
88.8°, I 13

Cell and atoms:
Lattice parameters (Å, degrees): 3.4205 3.4205 20.1829 90.00 90.00 120.00
Fractional positions:
Ti: 0.0000 0.0000 0.0000
Ti: 0.0000 0.0000 0.3544
Ti: 0.0000 0.0000 0.6456
S: 0.3333 0.6667 0.0702
S: 0.3333 0.6667 0.4244
S: 0.3333 0.6667 0.7158
S: 0.6667 0.3333 0.2842
S: 0.6667 0.3333 0.5756
S: 0.6667 0.3333 0.9298


For CoPt3, a DFT-relaxed cell (GGA-PBE, the Materials Project) gives the calculated powder diffraction line list in this record (CuKα).
Kinematic intensities with the Lorentz-polarization factor, no thermal factor.

The 10 most intense peaks (2θ = 10–90°), in order of rising 2θ:
19.7°, I 5
29.7°, I 9
40.0°, I 100
41.3°, I 7
46.6°, I 48
58.9°, I 6
68.0°, I 30
71.3°, I 5
81.9°, I 34
86.5°, I 10

Cell and atoms:
Lattice parameters (Å, degrees): 9.1506 9.1506 9.1506 17.33 17.33 17.33
Fractional positions:
Co: 0.0000 0.0000 0.0000
Pt: 0.2560 0.2560 0.2560
Pt: 0.5000 0.5000 0.5000
Pt: 0.7440 0.7440 0.7440


For TiCrS4, a DFT-relaxed cell (GGA-PBE, the Materials Project) gives the calculated powder diffraction line list in this record (CuKα).
Kinematic intensities with the Lorentz-polarization factor, no thermal factor.

The 10 most intense peaks (2θ = 10–90°), in order of rising 2θ:
15.9°, I 100
30.6°, I 31
30.8°, I 17
37.1°, I 100
37.4°, I 49
53.3°, I 15
53.5°, I 15
53.7°, I 61
66.9°, I 15
67.1°, I 15

Cell and atoms:
└──

If the Council was going to move something off the agenda or some other action was planned whereby the people would not be getting the opportunity to speak, maybe it could be announced IN ADVANCE IN SOME COMMONLY UNDERSTOOD MANNER so the trip downtown could be avoided and not be a waste when you find you aren't going to be heard.

This is just my complaint on seeing a little of what happens very simply and commonly by the actions of Council Members. And I still don't know if the automatic "Yes" vote on the Council members' devices has been stopped so the device will only work manually to show a "Yes" or "No" vote. All that phantom voting was happening without you really knowing if the CMs were even in the building. Wesson's been seen to grab a smoke outside and that's surely an abuse if you break a quorum by his absence. Others have had meetings in their offices during that time. But they have a zillion excuses and on top of everything else, they don't care about you. Oh, what? "You say you are a union member?" Or, "Is it THAT group of campaign contributors you are part of? Well, that's different." Don't you just love it all?